Are you, your children, your marriage or family troubled by change, loss, decisions, emotions, or unique abilities? Counselling using an arts-based approach is proven as a pathway to new.. [read more]
Since 1981, Three Hills has hosted an annual classic car and motorcycle show the first weekend of June, the largest in western Canada, which includes a show and shine, poker rally, bracket.. [read more]
Equine Facility, teaching Natural Performance Hoof Care, Rehabilitation & Foundation Horsemanship. Success With Horses strives to educate people on the benefits of natural horse keeping,.. [read more]
A simple sewing machine capable of performing basic stitches and creating buttonholes. [read more]
Helping clients buy and sell residential and commercial real estate in Calgary and surrounding areas. . [read more]
Two Good Trends Fashion. Offering excellent used condition fashion at a fraction of the price paid!. [read more]
Food from Lala's kitchen has taste of back home. Pakistani spicy traditional taste would be provided and service would be exceptionally good. . [read more]
The Sustainable Development Goals Alliance (SDGA) is a student-run organization based at the University of Calgary that is working to advance student and community engagement with the.. [read more]
Bath and Body products ranging from artisan soap, and bath bombs focusing on products to inspire kids to wash their hands and bathe. . [read more]
This record from the Open Molecules 2025 dataset describes a structure of composition C7H14AgO4 at a distorted geometry. The level of theory is the ωB97M-V functional and the def2-TZVPD basis.

Structure (ORCA input):
```
! RIJCOSX wB97M-V def2-TZVPD def2/J DEFGRID3
* xyz 0 2
C -0.49 0.65 -3.00
O -0.87 1.93 -2.60
C -0.38 -0.31 -1.81
O 0.40 0.35 -0.81
C 0.27 -0.16 0.59
C 0.88 0.93 1.44
O 0.42 2.25 1.05
C 0.75 3.27 1.97
Ag -0.18 2.32 -0.88
H 0.50 0.67 -3.51
H -1.21 0.21 -3.71
H 0.10 -1.26 -2.09
H -1.39 -0.53 -1.41
H 1.98 0.93 1.37
H 0.58 0.78 2.49
H 0.36 4.22 1.59
H 0.30 3.05 2.95
H 1.85 3.34 2.08
H -0.81 -0.27 0.80
C -0.49 -2.53 2.44
O 0.02 -2.57 1.13
C 0.95 -1.53 0.81
H -0.48 -3.55 2.85
H 0.12 -1.88 3.09
H -1.53 -2.15 2.46
H 1.69 -1.46 1.64
*
```

The value obtained for the HOMO energy (alpha / beta) is -7.013 / -6.988 eV. Its expectation value of S² is 0.753. Its calculated total energy is -19668.3940 eV. As for the HOMO-LUMO gap (alpha / beta): 7.44 / 5.93 eV.

----------

This record from the OMol25 dataset describes a 4-piece molecular cluster, C2H12N2O2 overall. The level of theory is wB97M-V/def2-TZVPD.

Structure (XYZ):
```
18
Properties=species:S:1:pos:R:3:mulliken_charge:R:1
N -2.1499 -0.2862 -0.2453 -0.426
C -0.8362 0.1719 -0.6677 -0.032
C 0.1256 -0.7098 -1.4727 -0.999
N -0.6411 -0.4146 2.0388 -0.739
H 1.1539 -0.1453 1.6009 0.451
H -2.8918 0.0059 -0.9566 0.325
H -1.2234 1.0780 -1.2175 0.279
H -0.2268 0.5742 0.0917 0.181
H -0.4152 -1.4235 -2.0809 0.367
H 0.7532 -1.2539 -0.8790 0.334
H -1.0364 -1.0221 2.7046 0.193
H -0.6450 0.5315 2.4075 0.303
H 2.0848 0.2887 0.3565 0.405
H 0.8423 -0.0728 -2.1610 0.270
O 2.0739 -0.2088 1.2760 -0.690
H 2.4757 2.0256 -1.2094 0.219
H -1.3776 -0.3394 1.2731 0.281
O 1.9339 1.2007 -0.8590 -0.721
```

Summary:
E_LUMO in Eh: -0.176
E_HOMO in eV: -8.700
Multiplicity: 1

----------

1.
DFT (wB97M-V/def2-TZVPD) results for a molecular structure, C13H12N4O3S.

Structure (ORCA input):
```
! RIJCOSX wB97M-V def2-TZVPD def2/J DEFGRID3
* xyz 0 1
O -2.4222 0.9966 -0.2179
C -1.6903 -0.0294 -0.0009
N -2.1157 -1.2523 0.4126
C -1.6814 -2.3408 0.7286
N -2.5705 -3.3089 0.9694
N -1.8248 -4.2858 1.4566
C -0.5931 -4.1441 1.4226
C 0.4829 -5.3965 1.4602
C 1.8535 -5.0639 2.0527
C 1.6487 -5.5822 0.7450
H 2.0756 -4.7922 -0.0251
H 2.1142 -6.4951 0.3833
H 1.8937 -4.0843 2.2179
H 2.2825 -5.7830 2.9488
H -0.0692 -6.2953 1.7911
S 0.0381 -2.5940 0.8301
H -3.3700 -1.0879 0.4911
C -0.2017 0.2688 -0.0707
C 0.3685 1.4574 -0.5554
C 0.9077 2.5013 0.4958
C 1.2314 3.7432 -0.0765
C 1.0860 4.3010 -1.1529
C 0.4974 3.3227 -2.1453
C 0.0831 2.1389 -1.6789
H -0.2542 1.2872 -2.7604
H 0.2183 3.5919 -3.1906
N 1.1790 5.4969 -1.6790
O 1.3144 5.7596 -2.8162
O 1.8381 6.3092 -0.7396
H 1.6394 4.3952 0.8004
H 1.1533 2.0694 1.3634
H 0.2681 -0.0671 0.7028
H 0.2264 -0.5529 -0.8411
*
```

Calculated values
LUMO = -1.8 eV
Kohn-Sham gap = 7.31 eV

***

2.
DFT (wB97M-V/def2-TZVPD) results for a molecular structure, C13H13BrMnN5S.

Structure (ORCA input):
```
Put an energy expert in your pocket!. [read more]
Crafts Made by Yours Truly!! Customized Crafting of Individual Needs Upon Request. Contact me for more information by FB message or phone 780-843-6494. [read more]
Committed to Excellence in Family Child Care and Early Learning. [read more]
尼克森公司總部設在加拿大阿爾伯塔省卡爾加里,是一家石油和天然氣公司。業務分佈在世界各地,包括歐洲、哥倫比亞、墨西哥灣等。歷史1969年,尼克森公司創立,初名加拿大西方石油公司(Canadian Occidental Petroleum Ltd. ),西方石油公司持有其80%的股權。 最初十年間其活動主要集中在加拿大業務上,80和90年代開展國際業務,最初在墨西哥灣,後來又進入也門和北海。1990年代,尼克森公司買下了國有油氣公司瓦斯卡納的資產。中海油收購2012年7月,中海油宣佈以每股27. [read more]
We dedicate our talents to create beautiful eye-catching handcrafted home accents and unique gifts. We are sure you will find something that speaks to you or that special present for someone you love. [read more]
Full range of diagnostic and repair services available for all Major and small Appliance. Both Residential and Comercial. . [read more]
We are a U-Pick for strawberries and raspberries. We also sell farm fresh eggs! Open by appointment only, please text 780-267-3741 to book your visit. [read more]
The best in Bags. [read more]
A relaxing experience for hair removal with a calming atmosphere and soothing music. Book your appointment through direct message. . [read more]
We are approaching the flyer delivery not only in the most professional way, but the most effective options and online presence for all your delivery campa. [read more]
Roofing since the year of 2000 We do. . . New roofing Re Roofing Patch repair Clean gutters Call today for a free quote. . [read more]
Quality hand made accessories: Face masks; Cosmetic & project bags. [read more]
州立恐竜公園(しゅうりつきょうりゅうこうえん、ダイナソール州立公園)は、カナダ・アルバータ州カルガリーから車で2時間ほど行った所(あるいはブルックス市の北東48km)にある州立公園で、ユネスコの世界遺産に登録されている。公園は際立って「バッドランド」と呼ばれる荒涼とした地形のレッドディア川(Red Deer River)渓谷に位置するが、何よりも世界最大級の恐竜化石層があることで知られている。39もの恐竜の種がここで発見され、500以上の標本が世界中の博物館に移送・展示されている。世界遺産登録は、こうした恐竜化石に負うところが大きい。歴史1955年6月27日に、アルバータ州50周年記念事業の一環として、化石の出土する地層を保護するために、州立公園が設定された。最初の管理人に任命されたのは、農家でアマチュア化石収集家でもあったロイ・ファウラー(Roy Fowler)であった。1985年までは、公園で発掘された化石は、科学的な分析や展示のために、ロイヤルオンタリオ博物館(トロント)、カナダ自然博物館(Canadian Museum of Nature, オタワ)、アメリカ自然史博物館(ニューヨーク)などに送られなければならなかった。この状況は、100 km 上流にあるドラムヘラー近郊のミッドランド州立公園(Midland Provincial Park)内に、ロイヤル・ティレル古生物学博物館が開館したことで変化した。. [read more]
Thompson Construction Group is a heavy civil, reclamation and infrastructure contractor based out of Alberta. The intent of this page is for heavy equipment dispersals. [read more]
~~~
The following is a quantum chemistry calculation of 2 unconnected molecules or ions with the total composition C11H15N at a distorted geometry, from the OMol25 dataset.

electronic energy	-482.855473	Ha
orbital gap	0.3184	Ha
SMILES string	Cc1c[nH]c2ccccc12.CC
energy above the lowest of the compared OMol25 structures with the same formula, charge and spin	156.7	kJ/mol

XYZ file:
```
27
Properties=species:S:1:pos:R:3:forces:R:3:nbo_charge:R:1
C 2.3291 -2.1620 1.0275 1.6 0.0 -1.2 -0.63
C 1.6933 -1.8890 -0.2990 -1.3 -0.1 -1.9 -0.07
C 1.8750 -2.3205 -1.6274 -0.7 1.4 2.9 -0.06
N 0.9906 -1.5794 -2.4184 1.3 -1.7 -2.6 -0.52
C 0.2040 -0.7375 -1.7153 0.1 0.2 1.7 0.11
C -0.7721 0.2374 -1.9814 0.6 0.0 -1.8 -0.22
C -1.3784 0.8854 -0.9277 -0.4 -1.2 0.3 -0.23
C -1.1844 0.4316 0.4124 0.7 0.3 -1.0 -0.23
C -0.1483 -0.4474 0.7077 0.2 2.0 -0.8 -0.20
C 0.6094 -0.9330 -0.3869 -0.2 -0.8 1.9 -0.09
H 2.5668 -3.2179 1.2055 0.1 0.3 -0.1 0.22
H 1.7556 -1.8027 1.8639 -0.3 0.1 0.1 0.22
H 3.2592 -1.5431 0.9420 -0.4 -0.8 0.8 0.22
H 2.5492 -3.0839 -1.9812 -0.1 0.2 -0.5 0.22
H 1.0135 -1.7734 -3.4232 -0.4 0.6 0.7 0.41
H -0.9319 0.4844 -3.0589 -0.2 0.1 1.1 0.21
H -2.0928 1.6658 -1.1450 -0.1 0.0 0.1 0.21
H -1.7810 0.8853 1.1735 -0.1 0.2 0.5 0.21
H 0.2584 -0.4017 1.7211 -0.4 -0.8 -0.2 0.21
C -2.4533 3.3640 2.2900 -1.2 -0.5 -0.1 -0.63
C -1.1535 3.4823 3.1361 -2.0 0.2 0.8 -0.64
H -3.0023 4.2924 2.3023 0.1 0.7 -0.3 0.21
H -2.2676 3.1031 1.2414 0.3 0.3 0.2 0.20
H -3.2886 2.6847 2.5292 0.7 -0.4 0.7 0.21
H -1.2537 4.4266 3.7098 0.8 0.1 -1.1 0.21
H -0.4205 3.3701 2.3528 1.1 0.4 0.8 0.23
H -1.0454 2.8434 4.0329 0.0 -0.7 -1.1 0.21
```
Positions in Å, forces in eV/Å.


The following is a quantum chemistry calculation of 2 unconnected molecules or ions with the total composition C11H15N at a distorted geometry, from the OMol25 dataset.

electronic energy	-482.820944	Ha
orbital gap	0.3258	Ha
SMILES string	Cc1c[nH]c2ccccc12.CC
energy above the lowest of the compared OMol25 structures with the same formula, charge and spin	247.4	kJ/mol

XYZ file:
```
27
Properties=species:S:1:pos:R:3:forces:R:3:nbo_charge:R:1
C -3.1590 -1.1086 0.5434 0.2 1.6 1.7 -0.63
C -1.6859 -1.2216 0.8428 0.8 -1.5 -1.0 -0.08
C -1.1511 -2.4884 0.7729 4.1 3.2 1.7 -0.02
N 0.2909 -2.3683 1.1217 0.8 0.5 0.4 -0.59
C 0.5993 -0.9928 1.3664 -2.5 -1.4 -0.9 0.15
C 1.7409 -0.3830 1.8628 0.4 1.9 0.1 -0.25
C 1.7342 1.0630 1.9267 -3.8 -2.8 -2.1 -0.20
C 0.5864 1.8386 1.4407 1.7 0.6 0.9 -0.25
C -0.5437 1.1747 1.0273 -0.8 -1.0 0.6 -0.19
C -0.5881 -0.2360 1.0535 -0.2 -1.0 0.5 -0.09
H -3.5324 -1.7644 -0.1633 -0.2 -2.2 -1.3 0.22
H -3.3230 -0.2159 -0.0167 -0.4 1.3 0.2 0.22
H -3.8461 -1.2145 1.4266 0.8 0.6 -0.6 0.22
H -1.5922 -3.3963 0.5229 -0.5 -1.4 -0.2 0.21
H 1.1325 -3.0308 1.2358 -2.7 0.9 -0.5 0.42
H 2.6531 -0.9436 2.2025 -1.1 0.6 -0.5 0.22
H 2.6678 1.3877 2.1380 2.4 2.0 1.0 0.20
H 0.5437 2.9886 1.4491 0.5 -2.0 0.0 0.22
H -1.4726 1.6882 0.7771 0.4 0.1 0.0 0.22
C 1.3126 1.0150 -3.4446 0.7 2.2 0.6 -0.62
C 0.8610 1.2361 -1.9631 1.0 2.2 -2.4 -0.62
~~~
Hand carved pipes of cherry wood, give me an idea and I'll see if I can make it smoke!. [read more]
Calculated molecules from another source follow
- - -
(1)
- - -
I provide writing and editing services for individuals and entrepreneurs wanting to make the best impression with their written content. . [read more]
Serving Columbia, MIssouri. [read more]
Offering safety consulting services, including new manuals, forms and how to obtain COR. Make your work place a safe place! Call 780-293-3133 for more info. [read more]
We're an events business specializing in rentals, design and floral services. Due to our low overhead costs, we're able to pass along savings to you. . [read more]
Customs baby blankets, bandana bibs, burp cloths, face masks, laundry bags, pet scarves, aprons and more!. [read more]
I will work with you to help you achieve Lifetime security. . [read more]
Located in Airdrie, AB. Adorn’s premium service has amazing teeth whitening results with little to NO sensitivity. Our experience in the industry helped create a unique approach.. [read more]
The Vegetable Garden is a project that grows produce for the Taber Food Bank. They use what they can and then distribute product to other food banks in southern Alberta. [read more]
Health, Nutrition and Wellness, Empowerment, Motivation, Inspiration and above all Education. [read more]
This gaming page is about having fun and being entertained. League Of Legends. . [read more]
Connecting People and Real Estate. [read more]
Hey, we're Nikki & Jen. Two sisters getting crafty with vinyl and wood, serving Leduc and Fort Mac. . [read more]